CleanWhite™ Antimicrobial LED Lighting

illumiPure’s CleanWhite solution is a breakthrough in safe, continuous, and rapid surface disinfection. Scientists have long recognized the threat of surface microbes as a major disease vector.

As the CleanWhite fixture illuminates, it continuously kills new surface microbes and suppresses the regrowth of biofilms.

Absolute protection

CleanWhite visible light disinfection technology is safe for humans and pets. While disinfecting, CleanWhite wavelengths don’t affect or degrade any underlying surface materials or textiles.

Science backed

The science of visible light disinfection has been studied and repeatedly proven effective microbial species and pathogens in academic journals and peer-reviewed studies for decades.

**Here the page breaks off for records of crystals:**
'''
First-principles (PBE-GGA) data for a relaxed Rb3BaCl crystal, as listed in Alexandria.

## Properties
SG: No. 221
Energy relative to the lowest polymorph listed for this composition, meV/atom: 679.6
ΔE_f (raw), eV/f.u.: 0.5

Unit cell a=8.615 b=8.615 c=8.615 alpha=90.00 beta=90.00 gamma=90.00
Positions (direct):
1 Rb 0.000 0.500 0.000
2 Rb 0.000 0.000 0.500
3 Rb 0.500 0.000 0.000
4 Ba 0.000 0.000 0.000
5 Cl 0.500 0.500 0.500



First-principles (PBE-GGA) data for a relaxed Rb2BaCl4 crystal, as listed in Alexandria.

## Properties
SG: No. 122
Energy relative to the lowest polymorph listed for this composition, meV/atom: 0.0
ΔE_f (raw), eV/f.u.: -15.3

Unit cell a=8.415 b=8.415 c=8.415 alpha=109.86 beta=109.86 gamma=108.69
Positions (direct):
1 Cl 0.106 0.721 0.749
2 Cl 0.777 0.529 0.884
3 Cl 0.279 0.027 0.384
4 Cl 0.643 0.894 0.616
5 Cl 0.107 0.223 0.751
6 Cl 0.471 0.356 0.249
7 Cl 0.973 0.357 0.251
8 Cl 0.644 0.893 0.116
9 Ba 0.000 0.000 0.000
10 Ba 0.750 0.250 0.500
11 Rb 0.875 0.737 0.362
12 Rb 0.263 0.625 0.138
13 Rb 0.375 0.513 0.638
14 Rb 0.487 0.125 0.862



First-principles (PBE-GGA) data for a relaxed Rb6BaCl8 crystal, as listed in Alexandria.

## Properties
SG: No. 225
ΔE_f (raw), eV/f.u.: -30.8

Unit cell a=9.504 b=9.504 c=9.504 alpha=60.00 beta=60.00 gamma=60.00
Positions (direct):
1 Ba 0.000 0.000 0.000
2 Cl 0.228 0.772 0.228
3 Cl 0.228 0.772 0.772
4 Cl 0.228 0.228 0.772
5 Cl 0.772 0.228 0.228
6 Cl 0.250 0.250 0.250
7 Cl 0.772 0.228 0.772
8 Cl 0.772 0.772 0.228
9 Cl 0.750 0.750 0.750
10 Rb 0.000 0.500 0.000
11 Rb 0.500 0.500 0.000
12 Rb 0.500 0.000 0.500
13 Rb 0.500 0.000 0.000
14 Rb 0.000 0.500 0.500
15 Rb 0.000 0.000 0.500



First-principles (PBE-GGA) data for a relaxed Rb4BaCl6 crystal, as listed in Alexandria.

## Properties
SG: No. 63
ΔE_f (raw), eV/f.u.: -22.8

Unit cell a=4.512 b=8.189 c=22.836 alpha=90.00 beta=90.00 gamma=105.99
Positions (direct):
1 Rb 0.412 0.824 0.367
2 Rb 0.141 0.283 0.459
3 Rb 0.588 0.176 0.867
4 Rb 0.588 0.176 0.633
5 Rb 0.859 0.717 0.959
6 Rb 0.859 0.717 0.541
7 Rb 0.412 0.824 0.133
8 Rb 0.141 0.283 0.041
9 Cl 0.065 0.131 0.327
10 Cl 0.229 0.458 0.595
11 Cl 0.705 0.410 0.750
12 Cl 0.771 0.542 0.405
13 Cl 0.500 0.000 0.000
14 Cl 0.500 0.000 0.500
15 Cl 0.229 0.458 0.905
16 Cl 0.065 0.131 0.173
17 Cl 0.935 0.869 0.673
18 Cl 0.771 0.542 0.095
19 Cl 0.935 0.869 0.827
20 Cl 0.295 0.590 0.250
21 Ba 0.662 0.325 0.250
22 Ba 0.338 0.675 0.750

=====

First-principles (PBE-GGA) data for a relaxed Sr2Ta2Sn crystal, as listed in Alexandria.

The structure in extended XYZ format:
```
5
Lattice="3.739 0.000 0.000 0.000 3.739 0.000 1.870 1.870 10.988" Properties=species:S:1:pos:R:3 pbc="T T T"
'''
**The page goes on:**

Premier disinfection

CleanWhite is the first system that can continually disinfect and destroy surface microbes – even those contained within persistent biofilms.

The science

illumiPure’s CleanWhite kills surface pathogens using spikes of precise wavelengths, at 405nm and at 470nm. Numerous studies have shown that these specific wavelengths, although safe for humans, have the ability to destroy microbes through various mechanisms, resulting in cell membrane damage – through catalyzed oxidation, permeability and leakage, and ion-pump dysfunction.

  • CleanWhite only emits safe, visible white light, which includes “blue light” antimicrobial energy
  • Unlike other visible light surface disinfection systems, CleanWhite can emit antimicrobial light wavelengths at highly effective doses – without emitting visible purple-violet light
  • CleanWhite only uses 405nm+470nm antimicrobial wavelength spikes; illumiPure’s patented chips suppress harmful blue light wavelengths between 410-460 nanometers
  • Because harmful blue light wavelengths are suppressed, CleanWhite lights are safer than most lighting fixtures – especially commercial LED fixtures, which can emit harmful blue wavelengths
  • CleanWhite Kills most latent surface microbes within the first few hours, then continuously suppresses re-growth. The two wavelengths (405+470) increase efficacy in shorter durations
  • CleanWhite is also available as part of an integrated device solution sold as Air Guardian Plus©
  • CleanWhite solutions include impurity-free polymer lenses, which eliminate reflection of dose wavelengths back into the fixture

Standard to custom configurations

CleanWhite fixtures are available for commercial, retail, healthcare, transportation, hospitality, and other industries. While several types of in-plenum fixtures are available, such as standard 2’x2′ and 2’x4′ troffer and panel lights, illumiPure can also produce custom fixtures for nearly any design. Our U.S manufacturing facility has been asked to produce custom fixtures for nearly every industry.

illumiPure’s CleanWhite panel fixture is also found as an integrated component of the illumiPure Air Guardian Plus fixture, which provides simultaneous and continuous air and surface disinfection.

Microbial kill times

The CleanWhite breakthrough is the ability to apply a continuous, safe, but substantial dose of antimicrobial energy, between 30-120 joules/cm2.

Operating continuously, these dose energies can rapidly kill or inactivate bacteria, yeast, mold, and some viral species – even in biofilm form. In a contaminated space, the time needed for high Log-reduction is between four to twenty-four hours, depending on the species and colony counts.

Many species of bacteria and microbes are reduced in high Log levels within 3-4 hours. Studies by MacLean et al., 2009, show that ESKAPE pathogens, a set of highly dangerous organisms such as A. baumannii, S. aureus, P. aeruginosa, E. coli, enterococci, and K. pneumoniae can be destroyed or inactivated by approximately 300 joules/cm2. This represents a total absorbed dose.

Only CleanWhite technology, which can persistently deliver a dose of up to 120 joules/cm2, can provide enough dose energy to destroy those same pathogens within just a few hours.

As an effective last stand against resistant pathogens, many of which are listed by the CDC and the WHO as global human threats.[3][CleanWhite is a breakthrough technology – it can killmany of these dangerous threats within just a few hours, and continually protect surfaces and occupants.

Pathogen destruction

The following list demonstrates CleanWhite’s ability to kill surface pathogens. This is not a complete or exhaustive list.

Salmonella spp.

Escherichia coli spp.

Vibrio vulnificus, Vibrio spp.

Streptococcus pneumoniae

Staphylococcus aureus (including MRSA)

Gram-Positive Staphylococcus spp.

Gram-Negative Staphylococcus spp.

Clostridium difficile

Streptococcus viridans

Pseudomonas aeruginosa

Listeria spp.

Legionella spp.


Acinetobacter baumannii

Bacillus anthracis – Anthrax

Bacillus magaterium sp. (spores)

Bacillus magaterium sp. (veg.)


Feline calicivirus[1] (FCV)


14340 Torrey Chase Blvd, Suite 410
Houston, TX 77014

Phone: (281) 408-2247